Need a good book to read? Ask the English Department

For avid readers, there are always too many books and too little time.
But every once in a while, there might be a moment where you’re just not sure what you want to pick up next. Nothing on your list seems just right. So where do you turn for suggestions?
The Department of English’s “Faculty and Staff Book Picks, 2009-2010,” might be a good place to start. Here, a baker’s dozen staff and faculty recommend their recent favorites, ranging in genre from poetry and spiritual handbook to biography.
Sally Ball, assistant professor of English in creative writing, recommends “Museum of Accidents,” a new book of poems by Rachel Zucker. This book is “accessible, funny, devastating, and the most eye-opening tour-de-force vision of motherhood that I know of in poetry or prose,” Ball said.
Deborah Clarke’s pick, “The Financial Lives of the Poets,” by Jess Walter, actually is a novel, and “one of the first novels to come out on the current economic situation,” said Clarke, a professor of English in literature.
• Attached: calculated crystals:
(1)
Entry from the Materials Project database: a relaxed structure of CoO (GGA+U).

Output
The value obtained for the piezoelectric modulus e_max is 0.9 C/m2. The value obtained for the formation energy is -1284 meV per atom. The calculation puts the total energy at -6.150 eV per atom.

a b c (Å): 3.269 5.289 5.646
angles (deg): 90.00 90.00 90.00
Fractional positions:
Co 0.000 0.998 0.666
Co 0.000 0.498 0.334
Co 0.500 0.999 0.166
Co 0.500 0.499 0.834
O 0.500 0.377 0.166
O 0.000 0.376 0.666
O 0.000 0.876 0.334
O 0.500 0.877 0.834

(2)
Entry from the Materials Project database: a relaxed structure of KUVO6 (GGA+U).

Output
The calculation puts the total moment at 0.111 μB/atom. The value obtained for the formation energy is -2298 meV per atom. The calculation puts the total energy at -7.688 eV per atom. The value obtained for the distance to the lowest polymorph of the same formula is 692 meV per atom.

a b c (Å): 6.768 8.106 14.698
angles (deg): 90.00 89.04 90.00
Fractional positions:
K 0.522 0.834 0.735
K 0.522 0.666 0.235
K 0.478 0.166 0.265
K 0.478 0.334 0.765
U 0.989 0.565 0.719
U 0.989 0.935 0.219
U 0.011 0.435 0.281
U 0.011 0.065 0.781
V 0.814 0.508 0.965
V 0.186 0.492 0.035
V 0.186 0.008 0.535
V 0.814 0.992 0.465
O 0.069 0.188 0.240
O 0.422 0.001 0.465
O 0.931 0.688 0.260
O 0.805 0.983 0.346
O 0.250 0.033 0.839
O 0.195 0.017 0.654
O 0.422 0.499 0.965
O 0.805 0.517 0.846
O 0.069 0.312 0.740
O 0.999 0.655 0.010
O 0.251 0.897 0.251
O 0.250 0.467 0.339
O 0.750 0.533 0.661
O 0.195 0.483 0.154
O 0.578 0.501 0.035
O 0.001 0.155 0.490
O 0.001 0.345 0.990
O 0.251 0.603 0.751
O 0.578 0.999 0.535
O 0.750 0.967 0.161
O 0.749 0.397 0.249
O 0.749 0.103 0.749
O 0.931 0.812 0.760
O 0.999 0.845 0.510

(3)
Entry from the Materials Project database: a relaxed structure of Cr2C13SN3O10F5 (GGA+U).

Output
The calculation puts the total moment at 0.000 μB/atom. The value obtained for the formation energy is -774 meV per atom. The calculation puts the total energy at -7.077 eV per atom.

a b c (Å): 6.468 12.100 14.394
angles (deg): 92.46 96.40 99.67
Fractional positions:
Cr 0.521 0.835 0.311
Cr 0.888 0.735 0.910
Cr 0.479 0.165 0.689
Cr 0.112 0.265 0.090
C 0.164 0.815 0.896
C 0.725 0.970 0.311
C 0.232 0.185 0.189
C 0.682 0.793 0.420
C 0.016 0.659 0.009
C 0.331 0.249 0.766
C 0.642 0.090 0.612
C 0.691 0.296 0.691
C 0.160 0.152 0.001
C 0.969 0.473 0.696
C 0.626 0.122 0.801
C 0.381 0.352 0.076
C 0.768 0.815 0.811
C 0.984 0.341 0.991
C 0.374 0.878 0.199
C 0.669 0.751 0.234
C 0.840 0.848 0.999
C 0.318 0.207 0.580
C 0.922 0.624 0.818
C 0.309 0.704 0.309
C 0.078 0.376 0.182
C 0.275 0.030 0.689
C 0.619 0.648 0.924
C 0.031 0.527 0.304
C 0.836 0.185 0.104
C 0.358 0.910 0.388
S 0.705 0.414 0.374
S 0.295 0.586 0.626
N 0.941 0.555 0.758
N 0.110 0.473 0.639
N 0.890 0.527 0.361
N 0.826 0.377 0.695
N 0.174 0.623 0.305
N 0.059 0.445 0.242
O 0.287 0.902 0.131
O 0.248 0.303 0.813
O 0.699 0.864 0.751
O 0.256 0.953 0.435
O 0.192 0.085 0.947
O 0.713 0.098 0.869
O 0.095 0.614 0.069
The story’s main character, Matthew Prior, quits his job as a journalist to set up a Web site offering financial advice in poetic form. Of course it fails, and he returns to journalism, having lost all his seniority, and then loses his job in the downturn.
“The book is a hoot, interspersed with bits of poetry—or, at least, verse—and follows the pathetic attempts of a rather comical loser,” Clarke said.
Jessica Early, assistant professor of English in English education, recommends “Lark and Termite,” by Jayne Anne Phillips. It is, she said, “one of the best books I've read all year!
“It's a beautiful description of a family dealing with disability, war, and childhood trauma.”
Adviser Sada Gilbert is on a Barbara Kingsolver kick, re-reading some of her favorites, including “The Bean Tree” and “Pigs in Heaven.” “It’s always a treat to read an Arizona author,” she commented.
Gilbert also recently read “No Death, No Fear” by Thich Nhat Hanh, who is a Buddhist monk/teacher/peace activist.
Phillip Karagas, who handles scheduling for the department, recommends “The Scarecrow Video Movie Guide,” by the Staff and Friends of Scarecrow Video.
“This wonderful little tome may seem like an odd choice for light reading but, dear readers, this is not the case! Dedicated to the kinds of odd-ball, low-budget, or just plain insane films that don't always make it to DVD, the ‘Scarecrow Video Movie Guide’ reads like the pulpiest of fiction.”
Poetry has been on outreach coordinator Kristen LaRue’s list lately, with Rumi’s “Bridge to the Soul: Journeys into the Music and Silence of the Heart” leading the way.
“I recently re-discovered a little book of poetry that I received as a gift a year ago but never fully explored. Published in celebration of the Persian poet Rumi’s 800th birthday, the collection of verse is beautifully translated and realized,” LaRue said.
Joe Lockard, associate professor of English in literature, swings the opposite of LaRue with “Driven Out: The Forgotten War against Chinese Americans,” by Jean Pfaelzer. This book, Lockard said, is “a heavily-researched history of mid-to-late 19th-century pogroms up and down the West Coast against Chinese immigrants. Those familiar with pretty northern California towns such as Eureka or Arcadia will be surprised to discover ugly histories of mass expulsions and liquidation of Chinese communities.”
And in yet another direction, Keith Miller, professor of English in rhetoric and composition, suggests “Thelonious Monk: The Life and Times of an American Original” by Robin D.G. Kelley.
According to Miller, “Intelligent people recognize jazz composer and pianist Thelonious Monk as one of the four or five greatest American composers and musicians. One could argue that, over the last maybe 150 years, no one in the world has created such astonishing and astonishingly original piano compositions as Monk or has played the piano in so originally.
'''
Record 1
Computed, not measured: Be3Si3C4SO12 after structural relaxation at the PBE level of DFT.

extended XYZ file:
```
46
Lattice="8.0214 0.0000 0.0000 0.0000 8.0214 0.0000 0.0000 0.0000 8.0214" Properties=species:S:1:pos:R:3 pbc="T T T"
Be 0.0000 2.0054 4.0107
Be 0.0000 6.0161 4.0107
Be 2.0054 4.0107 0.0000
Be 4.0107 0.0000 2.0054
Be 4.0107 0.0000 6.0161
Be 6.0161 4.0107 0.0000
Si 0.0000 4.0107 2.0054
Si 0.0000 4.0107 6.0161
Si 2.0054 0.0000 4.0107
Si 4.0107 2.0054 0.0000
Si 4.0107 6.0161 0.0000
Si 6.0161 0.0000 4.0107
C 1.3598 1.3598 1.3598
C 1.3598 6.6617 6.6617
C 2.6509 2.6509 5.3705
C 2.6509 5.3705 2.6509
C 5.3705 2.6509 2.6509
C 5.3705 5.3705 5.3705
C 6.6617 1.3598 6.6617
C 6.6617 6.6617 1.3598
S 0.0000 0.0000 0.0000
S 4.0107 4.0107 4.0107
O 0.8083 2.9040 5.1031
O 0.8083 5.1174 2.9184
O 1.0923 1.1067 3.2024
O 1.0923 6.9148 4.8190
O 1.1067 3.2024 1.0923
O 1.1067 4.8190 6.9291
O 2.9040 2.9184 7.2131
O 2.9040 5.1031 0.8083
O 2.9184 0.8083 5.1174
O 2.9184 7.2131 2.9040
O 3.2024 1.0923 1.1067
O 3.2024 6.9291 6.9148
O 4.8190 1.0923 6.9148
O 4.8190 6.9291 1.1067
O 5.1031 0.8083 2.9040
O 5.1031 7.2131 5.1174
O 5.1174 2.9184 0.8083
O 5.1174 5.1031 7.2131
O 6.9148 3.2024 6.9291
O 6.9148 4.8190 1.0923
O 6.9291 1.1067 4.8190
O 6.9291 6.9148 3.2024
O 7.2131 2.9040 2.9184
O 7.2131 5.1174 5.1031
```

Energy of formation: -1300 meV per atom
Size of the total moment: 0.000 μB per atom

---

Record 2
Computed, not measured: SnO2 after structural relaxation at the PBE level of DFT.

extended XYZ file:
```
24
Lattice="5.1568 0.0000 0.0000 0.0000 10.1620 0.0000 0.0000 0.0000 5.2470" Properties=species:S:1:pos:R:3 pbc="T T T"
Sn 1.1946 1.1991 0.1683
Sn 1.1946 3.8819 2.7918
Sn 1.3838 6.2801 0.1683
Sn 1.3838 8.9629 2.7918
Sn 3.7731 1.1991 2.4551
Sn 3.7731 3.8819 5.0786
Sn 3.9622 6.2801 2.4551
Sn 3.9622 8.9629 5.0786
O 0.0078 5.3037 3.9840
O 0.0078 9.9393 1.3605
O 0.6723 7.2214 1.9331
O 0.6723 8.0217 4.5566
O 1.9062 2.1404 1.9331
O 1.9062 2.9406 4.5566
O 2.5706 0.2227 3.9840
O 2.5706 4.8583 1.3605
O 2.5863 5.3037 3.8865
O 2.5863 9.9393 1.2630
O 3.2507 7.2214 0.6904
O 3.2507 8.0217 3.3139
O 4.4846 2.1404 0.6904
O 4.4846 2.9406 3.3139
O 5.1490 0.2227 3.8865
O 5.1490 4.8583 1.2630
```

Energy of formation: -1973 meV per atom
Size of the total moment: 0.000 μB per atom

---

Record 3
Computed, not measured: La2Al3Sn after structural relaxation at the PBE level of DFT.

extended XYZ file:
```
6
Lattice="4.4492 0.0000 0.0000 0.0000 4.5137 0.0000 0.0000 0.0000 7.8174" Properties=species:S:1:pos:R:3 pbc="T T T"
La 0.0000 0.0000 0.0000
La 0.0000 2.2569 3.8548
Al 2.2246 0.0000 2.5499
Al 2.2246 0.0000 5.0849
Al 2.2246 2.2569 1.3624
Sn 2.2246 2.2569 6.5082
```

Energy of formation: -549 meV per atom

---

Record 4
Computed, not measured: TiMo2W after structural relaxation at the PBE level of DFT.

extended XYZ file:
```
16
Lattice="6.3355 0.0000 0.0000 0.0000 6.3355 0.0000 0.0000 0.0000 6.3355" Properties=species:S:1:pos:R:3 pbc="T T T"
Ti 0.0000 0.0000 0.0000
'''
Richard Newhauser, professor of English in literature, fittingly recommends a new novel. “Recently I read Thomas Pynchon's latest novel, “Inherent Vice,” a detective story set in the hippie scene in Los Angeles in 1970. The main character, Doc Sportello, is a private detective who gets himself into some hilarious situations (at one point, three stoners sit watching a large package of heroin in the belief it is a new kind of television set until Doc has to take it away).”
Don Nilsen, professor of English in linguistics, and Alleen Nilsen, professor of English in English education, both are admirers of former ASU football star Pat Tillman and read Jon Krakauer’s “Where Men Win Glory: The Odyssey of Pat Tillman,” after they listened to the taped version.
Data records that have nothing to do with the text
~~~
1.
Here is Mg16Al12Zn after structural relaxation from Materials Project. Energies are from PBE.

Output
* calculated total energy: -2.4926 eV/atom
* space group: No. 217
* ΔE to the lowest computed polymorph: 1.0 kJ/mol of atoms
* energy of formation: -0.02 eV/atom
* calculated density: 2.22 g/cm3

Cell and atoms, written as POSCAR:
```
Mg16Al12Zn
1.0
-5.256 5.256 5.256
5.256 -5.256 5.256
5.256 5.256 -5.256
Mg Al Zn
16 12 1
direct
0.000 0.000 0.331
0.000 0.313 0.599
0.000 0.331 0.000
0.000 0.599 0.313
0.286 0.687 0.687
0.313 0.000 0.599
0.313 0.599 0.000
0.331 0.000 0.000
0.401 0.401 0.714
0.401 0.714 0.401
0.599 0.000 0.313
0.599 0.313 0.000
0.669 0.669 0.669
0.687 0.286 0.687
0.687 0.687 0.286
0.714 0.401 0.401
0.000 0.632 0.814
0.000 0.814 0.632
0.183 0.368 0.368
0.186 0.186 0.817
0.186 0.817 0.186
0.368 0.183 0.368
0.368 0.368 0.183
0.632 0.000 0.814
0.632 0.814 0.000
0.814 0.000 0.632
0.814 0.632 0.000
0.817 0.186 0.186
0.000 0.000 0.000
```

2.
Here is Ba3PrB9O18 after structural relaxation from Materials Project. Energies are from PBE.

Output
* calculated total energy: -7.8668 eV/atom
* space group: No. 176
* corrected total energy (MP2020 scheme): -8.266 eV per atom
* energy of formation: -3.11 eV/atom
* calculated density: 3.75 g/cm3

Cell and atoms, written as POSCAR:
```
Ba3PrB9O18
1.0
7.334 0.000 0.000
-3.667 6.351 0.000
0.000 0.000 17.852
Ba Pr B O
6 2 18 36
direct
0.000 0.000 0.250
0.000 0.000 0.750
0.333 0.667 0.136
0.333 0.667 0.364
0.667 0.333 0.636
0.667 0.333 0.864
0.000 0.000 0.000
0.000 0.000 0.500
0.119 0.497 0.750
0.163 0.709 0.583
0.163 0.709 0.917
0.291 0.454 0.583
0.291 0.454 0.917
0.378 0.881 0.750
0.454 0.163 0.083
0.454 0.163 0.417
0.497 0.378 0.250
0.503 0.622 0.750
0.546 0.837 0.583
0.546 0.837 0.917
0.622 0.119 0.250
0.709 0.546 0.083
0.709 0.546 0.417
0.837 0.291 0.083
0.837 0.291 0.417
0.881 0.503 0.250
0.001 0.744 0.585
0.001 0.744 0.915
0.077 0.665 0.250
0.127 0.501 0.582
0.127 0.501 0.918
0.169 0.709 0.750
0.256 0.257 0.585
0.256 0.257 0.915
0.257 0.001 0.085
0.257 0.001 0.415
0.291 0.460 0.750
0.335 0.413 0.250
0.374 0.873 0.582
0.374 0.873 0.918
0.413 0.077 0.750
0.460 0.169 0.250
0.499 0.626 0.582
0.499 0.626 0.918
0.501 0.374 0.082
0.501 0.374 0.418
0.540 0.831 0.750
0.587 0.923 0.250
0.626 0.127 0.082
0.626 0.127 0.418
0.665 0.587 0.750
0.709 0.540 0.250
0.743 0.999 0.585
0.743 0.999 0.915
0.744 0.743 0.085
0.744 0.743 0.415
0.831 0.291 0.250
0.873 0.499 0.082
0.873 0.499 0.418
0.923 0.335 0.750
0.999 0.256 0.085
0.999 0.256 0.415
```

3.
Here is GdFeB4 after structural relaxation from Materials Project. Energies are from PBE.

Output
* calculated total energy: -8.7910 eV/atom
* space group: No. 55
* energy of formation: -0.58 eV/atom
* calculated density: 7.35 g/cm3

Cell and atoms, written as POSCAR:
```
GdFeB4
1.0
5.932 0.000 0.000
0.000 11.478 0.000
0.000 0.000 3.402
Gd Fe B
4 4 16
direct
0.126 0.150 0.000
0.374 0.650 0.000
0.626 0.350 0.000
0.874 0.850 0.000
0.132 0.412 0.000
0.368 0.912 0.000
~~~
“We appreciated the book so much that after listening to the tape we bought the book so we could read portions in class and loan it to students,” they said. “On the whole, it is a fascinating case study of the complications of today’s communication techniques and how information can be manipulated to achieve prescribed goals.”
This year, Robert Sturges, professor of English in literature, discovered the contemporary novelist and short-story writer Andrea Barrett, and has been immersing himself in her work, including “The Voyage of he Narwhal,” “Ship Fever,” “Servants of the Map” and “The Air We Breathe.”
“In all of them we keep meeting the same characters along with both their ancestors and their descendants, so the more you read of Barrett, the more you feel you're in the midst of a single, endlessly unfolding family saga, which personalizes her characteristic themes: the social consequences of science and exploration,” he said.
On a more serious note, Laura Turchi, clinical professor of English in English education, recommends “Predictably Irrational: The Hidden Forces that Shape Our Decisions” by Dan Ariely, a behavioral economist.
“He likes to think about human decision making within the ‘architectures of choice’ that marketers create, as illustrated by 2-for-1 subscription offers, the pricing of fancy lattes, and the 30-day money-back guarantee. His book takes us through the social world and the market world, and he describes how both impact our personal and professional lives, our beliefs in independence and autonomy notwithstanding,” she said.
For more of the faculty and staff’s comments about the books, go to